If fine art is your subject and you want to become a master in this field, you need to be dedicated, hardworking, and creative. The use of modern skills in painting can help you to create something unique and trendy. The market has tough competition, and you need to be conscious about your performance when you want to become successful in this career. You always find a way to create something attractive and unique to create a separate identity and attract visitors. There are many options available in the market where you can showcase your fine artwork on canvas and sell them. The following points can help you to understand how you can take the level of your fine art in BC to the next level of success.

Realistic painting

As an artist, it is your responsibility to express your feeling and opinion on the canvas through your painting. Realistic paintings mean artworks that speak about real-life struggles, happiness, sadness, and more. The painting inspired by real-life happenings can attract more visitors. So, in fine art, realistic images have a good position, and you should develop the skills in this.

Use your creativity and imagination

The artists must have a strong imagination, power, and creative skills. So, if you want to develop your career in this field, then you need to know how to bring out your imagination on the canvas. Creative skills can be developed if you use them properly regularly and know how to use your imagination in art. It can help you to create something new and attractive.

Understand your clients

You should have good communication skills when you are dealing with clients. You should understand their requirements and what they want to buy from you. If you are painting a canvas for an interior of a restaurant, then you should make it different from the one you create for the bedroom of a luxury house. So, you should be conscious of the demand of the clients and your creation.

Marketing skill

### Unrelated to this article: records of crystals
-- begin --
1.
# PBE Mn2SbBr, optimized geometry
data_Mn2SbBr
_cell_length_a 4.9991
_cell_length_b 4.9991
_cell_length_c 7.0621
_cell_angle_alpha 90.00
_cell_angle_beta 90.00
_cell_angle_gamma 90.00
_symmetry_space_group_name_H-M 'I 4/m m m'
_symmetry_Int_Tables_number 139
_symmetry_space_group_name_Hall '-I 4 2'
loop_
_atom_site_label
_atom_site_fract_x
_atom_site_fract_y
_atom_site_fract_z
Mn1 0.0000 0.5000 0.2500
Sb1 0.0000 0.0000 0.0000
Br1 0.0000 0.0000 0.5000
# - energy above the lowest structure with this stoichiometry (meV per atom) = 434.8

---

2.
# PBE MnSbBr2, optimized geometry
data_MnSbBr2
_cell_length_a 7.3256
_cell_length_b 7.3256
_cell_length_c 7.3256
_cell_angle_alpha 90.00
_cell_angle_beta 90.00
_cell_angle_gamma 90.00
_symmetry_space_group_name_H-M 'F -4 3 m'
_symmetry_Int_Tables_number 216
_symmetry_space_group_name_Hall 'F -4 2 3'
loop_
_atom_site_label
_atom_site_fract_x
_atom_site_fract_y
_atom_site_fract_z
Mn1 0.0000 0.0000 0.0000
Sb1 0.2500 0.2500 0.2500
Br1 0.0000 0.0000 0.5000
Br2 0.2500 0.2500 0.7500
# - energy above the lowest structure with this stoichiometry (meV per atom) = 642.7

---

3.
# PBE Mn2SbBr, optimized geometry
data_Mn2SbBr
_cell_length_a 6.2027
_cell_length_b 6.2027
_cell_length_c 13.1032
_cell_angle_alpha 90.00
_cell_angle_beta 90.00
_cell_angle_gamma 90.00
_symmetry_space_group_name_H-M 'I -4 2 d'
_symmetry_Int_Tables_number 122
_symmetry_space_group_name_Hall 'I -4 2bw'
loop_
_atom_site_label
_atom_site_fract_x
_atom_site_fract_y
_atom_site_fract_z
Mn1 0.2368 0.2500 0.1250
Sb1 0.0000 0.0000 0.0000
Br1 0.0000 0.0000 0.5000
# - energy above the lowest structure with this stoichiometry (meV per atom) = 192.7

---

4.
# PBE Mn2SbBr, optimized geometry
data_Mn2SbBr
_cell_length_a 3.9648
_cell_length_b 3.9648
_cell_length_c 20.6483
_cell_angle_alpha 90.00
_cell_angle_beta 90.00
_cell_angle_gamma 120.00
_symmetry_space_group_name_H-M 'R -3 m'
_symmetry_Int_Tables_number 166
_symmetry_space_group_name_Hall '-R 3 2"'
loop_
_atom_site_label
_atom_site_fract_x
_atom_site_fract_y
_atom_site_fract_z
Mn1 0.0000 0.0000 0.2412
Sb1 0.0000 0.0000 0.5000
Br1 0.0000 0.0000 0.0000
# - energy above the lowest structure with this stoichiometry (meV per atom) = 112.1

---

5.
# PBE MnSb2Br, optimized geometry
data_MnSb2Br
_cell_length_a 3.3549
_cell_length_b 4.9558
_cell_length_c 12.3272
_cell_angle_alpha 90.00
_cell_angle_beta 90.00
_cell_angle_gamma 90.00
_symmetry_space_group_name_H-M 'I m m m'
_symmetry_Int_Tables_number 71
_symmetry_space_group_name_Hall '-I 2 2'
loop_
_atom_site_label
_atom_site_fract_x
_atom_site_fract_y
_atom_site_fract_z
Mn1 0.0000 0.0000 0.0000
Sb1 0.0000 0.5000 0.3023
Br1 0.0000 0.0000 0.5000
# - energy above the lowest structure with this stoichiometry (meV per atom) = 223.0

---

6.
# PBE MnSbBr2, optimized geometry
data_MnSbBr2
_cell_length_a 3.6086
_cell_length_b 3.6086
_cell_length_c 36.5721
_cell_angle_alpha 90.00
_cell_angle_beta 90.00
_cell_angle_gamma 120.00
_symmetry_space_group_name_H-M 'R -3 m'
-- stop --

If you want to develop your career in fine arts successfully, then you need to know how to present your creations to audiences. Developing marketing skills is very important in expanding your creations. You should check the available platforms where you can showcase your painting and attract the views of more audiences. There are many modern ways of marketing your creations and exhibitions. So, you need to know them and make the right decision on investment.

## Between two parts of the text: calculated crystals
____________
# 1
Here is MnV3P after structural relaxation from Alexandria via LeMat-Bulk. Energies are from PBE-GGA.

Cell: 4.261 4.261 4.261 Å, 90.00 90.00 90.00°
Sites, in units of the cell vectors:
Mn 0.000 0.000 0.000
V 0.000 0.000 0.500
V 0.000 0.500 0.000
V 0.500 0.000 0.000
P 0.500 0.500 0.500

Computed properties:
Formation energy from the elements ... 740 meV/atom
Volume ... 15.5 A^3/atom
Energy relative to the lowest polymorph listed for this composition ... 429 meV per atom

# 2
Here is Te2OsAu after structural relaxation from Alexandria via LeMat-Bulk. Energies are from PBE-GGA.

Cell: 3.111 3.111 10.532 Å, 90.00 90.00 117.25°
Sites, in units of the cell vectors:
Te 0.000 0.000 0.000
Te 0.500 0.500 0.346
Os 0.000 0.000 0.542
Au 0.500 0.500 0.755

Computed properties:
E_form (uncorrected) ... 0.670 eV/atom
Volume ... 22.7 A^3/atom
Energy relative to the lowest polymorph listed for this composition ... 493 meV per atom

# 3
Here is Pm3NiSb after structural relaxation from Alexandria via LeMat-Bulk. Energies are from PBE-GGA.

Cell: 5.292 5.292 5.292 Å, 90.00 90.00 90.00°
Sites, in units of the cell vectors:
Pm 0.000 0.000 0.500
Pm 0.000 0.500 0.000
Pm 0.500 0.000 0.000
Ni 0.000 0.000 0.000
Sb 0.500 0.500 0.500

Computed properties:
E_form (uncorrected) ... -0.390 eV/atom
Volume ... 29.6 A^3/atom

# 4
Here is LaEuTlCd after structural relaxation from Alexandria via LeMat-Bulk. Energies are from PBE-GGA.

Cell: 5.602 5.602 5.602 Å, 60.00 60.00 60.00°
Sites, in units of the cell vectors:
La 0.000 0.000 0.000
Eu 0.500 0.500 0.500
Tl 0.250 0.250 0.250
Cd 0.750 0.750 0.750

Computed properties:
Formation energy from the elements ... -398 meV/atom
Volume ... 31.1 A^3/atom

# 5
Here is Tm2AgHg after structural relaxation from Alexandria via LeMat-Bulk. Energies are from PBE-GGA.

Cell: 5.137 5.137 3.632 Å, 90.00 90.00 90.00°
Sites, in units of the cell vectors:
Tm 0.000 0.500 0.000
Tm 0.500 0.000 0.000
Ag 0.000 0.000 0.500
Hg 0.500 0.500 0.500

Computed properties:
Formation energy from the elements ... -413 meV/atom
Volume ... 24.0 A^3/atom
Energy relative to the lowest polymorph listed for this composition ... 0 meV per atom

# 6
Here is ZrScB after structural relaxation from Alexandria via LeMat-Bulk. Energies are from PBE-GGA.

Cell: 6.560 6.560 5.079 Å, 100.87 100.87 28.47°
Sites, in units of the cell vectors:
Zr 0.000 0.000 0.000
Zr 0.574 0.574 0.536
Sc 0.260 0.260 0.882
Sc 0.838 0.838 0.411
B 0.182 0.182 0.295
B 0.654 0.654 0.118

Computed properties:
Formation energy from the elements ... -364 meV/atom
Volume ... 17.0 A^3/atom
Energy relative to the lowest polymorph listed for this composition ... 18 meV per atom

# 7
Here is NaHg2BiH after structural relaxation from Alexandria via LeMat-Bulk. Energies are from PBE-GGA.

Cell: 5.038 5.038 4.292 Å, 90.00 90.00 90.00°
Sites, in units of the cell vectors:
Na 0.000 0.000 0.000
Hg 0.000 0.500 0.500
Hg 0.500 0.000 0.500
Bi 0.500 0.500 0.000
H 0.000 0.000 0.500

Computed properties:
____________
## Back to the text

You can also check the online platforms where you may get the best opportunity of presenting your paintings. So, these are the best way of developing skills of fine art in BC and getting the best response.

Nikki John is the author of this article. To know more about Fine Art BC please stay with our website:gallery421.ca